Material:
┌──
1.
12
Properties=species:S:1:pos:R:3:forces:R:3 method="wB97M-V/def2-TZVPD" multiplicity=2 fmax_ev_per_a=3.8 total_charge=-1 e_above_lowest_kj_mol=180.8 lumo_ev="3.6 / 3.6" gap_ev="2.453 / 8.876" e_tot_ha=-302.57050
H 4.490939 0.027200 3.251088 -1.492 0.838 -0.287
N -1.206118 0.979531 -1.015261 1.025 -2.528 0.910
H 3.325776 0.671943 2.358625 0.412 -0.288 0.782
C -1.307334 0.211577 0.198110 -2.555 2.738 0.601
O 3.627676 0.527403 3.285409 1.042 -0.533 -0.493
H -1.408514 1.979322 -1.238475 0.420 -0.708 0.725
H -1.227391 -2.078567 0.354480 0.139 1.467 0.001
C -0.704888 0.082320 -1.968630 -0.496 0.875 2.259
N -0.729746 -1.193584 -1.562453 0.325 2.254 1.683
H -1.786304 0.739025 1.170799 1.473 -1.520 -2.509
H -0.106108 0.684325 -2.669497 -0.669 -1.290 -0.909
C -1.114237 -1.084581 -0.140529 0.375 -1.305 -2.762

***

2.
122
Properties=species:S:1:pos:R:3:forces:R:3 method="wB97M-V/def2-TZVPD" fmax_ev_per_a=1.3 total_charge=0 e_above_lowest_kj_mol=0.0 lumo_ev=-1.0 gap_ev=6.465 e_tot_ha=-4436.29802
C -3.476208 -4.446124 -0.038503 -0.052 -0.046 -0.022
C 3.160780 -1.422176 1.079537 -0.009 -0.002 0.237
H -3.809246 -0.192856 -6.753058 -0.002 -0.003 0.007
C -1.155273 0.005476 1.000750 0.363 -0.027 -0.044
H -1.539305 -2.843938 -0.290939 -0.070 -0.030 0.012
H 0.429272 -1.105678 3.936377 -0.004 0.002 0.070
H 1.623743 -1.261051 -6.336296 -0.028 0.011 0.033
H 4.638383 1.820462 2.305862 -0.017 -0.012 -0.071
C -5.396358 -5.513060 -1.008219 -0.006 0.011 -0.008
H -6.217135 -6.215223 -0.939983 0.012 -0.006 0.001
C 3.927481 3.718175 4.172740 0.156 -0.151 0.097
C 4.502607 -1.202964 0.832838 0.017 -0.065 0.039
Si 2.080114 0.618825 4.690228 0.071 -0.061 0.159
H 1.474877 -2.395015 -0.553903 0.023 0.070 -0.117
C -0.563696 -3.427102 2.591988 0.074 -0.049 -0.035
C -2.768442 2.122138 -0.452788 0.070 -0.037 0.017
N -0.462781 0.970701 -2.873738 -0.085 -0.555 0.652
H 0.958171 2.970262 -3.862776 -0.007 -0.018 -0.050
N -2.431442 -1.403700 2.423788 -0.017 -0.023 0.158
H 3.971300 -0.156436 6.075895 -0.044 0.009 -0.029
H 3.449149 4.864789 1.359242 -0.040 -0.020 0.016
H 4.881932 3.292986 3.852923 -0.027 0.029 0.034
O 3.804356 -0.503493 -7.629644 -0.005 0.024 0.038
H -0.531257 1.928055 -2.546284 0.159 0.017 0.112
H -4.664552 -5.917159 0.968861 0.007 -0.006 -0.009
H 3.501545 3.221027 0.721197 -0.019 0.052 -0.012
C -3.282069 -3.683569 -1.191659 0.179 0.029 -0.119
C 1.213379 -1.040712 4.689619 -0.097 -0.102 -0.038
H 0.763743 -1.242592 5.666218 0.027 0.010 -0.023
H 1.425993 2.256099 -0.924280 -0.041 0.051 0.119
H -3.168628 2.431117 2.621522 -0.103 -0.004 -0.017
C -3.778066 1.607629 2.242751 0.137 0.015 0.272
O 3.921465 1.948162 -7.644579 -0.012 -0.023 0.040
H 4.506993 1.148120 5.013791 -0.006 -0.053 0.035
C 2.858107 0.612014 2.126707 0.010 0.040 0.224
H -1.632051 2.181363 4.278704 0.035 -0.017 0.020
H -1.962912 0.538975 3.706363 0.043 0.011 0.058
C -1.760546 -3.527953 3.285559 -0.108 -0.014 0.047
C -2.305865 -2.061332 -4.359836 0.005 -0.002 -0.075
H -5.880311 -4.893900 -3.005837 -0.006 -0.005 0.016
C -0.307184 -2.296535 1.842433 0.029 0.029 -0.205
C -4.167407 -3.858388 -2.258801 -0.035 -0.015 0.056
C 0.445804 0.891118 -4.006486 0.204 0.241 0.055
H -2.110366 1.858258 -1.283098 -0.126 0.091 -0.010
H -3.615534 -2.507161 3.688584 0.003 -0.020 0.001
C -4.526256 -5.346558 0.059030 0.033 0.023 0.003
H -2.800972 -4.314852 0.798532 0.024 -0.007 0.012
C -2.174627 -2.699671 -1.162114 -0.471 -0.059 -0.130
C 1.461927 1.698662 6.096215 -0.065 0.181 0.038
H 1.970766 4.101222 0.760789 0.028 -0.015 0.008
C -3.785682 0.261258 -4.654900 0.030 0.023 0.025
C 0.623348 -0.302194 -4.682259 -0.050 -0.081 0.063
Sn -0.350721 -0.423599 -1.027208 -0.617 -0.776 -0.774
H 0.324522 4.531973 2.813045 0.012 0.054 0.027
H 3.742274 3.379101 5.193919 0.026 0.054 -0.025
H 6.079016 0.238624 1.086733 -0.020 0.029 -0.004
Si 2.493281 3.318444 3.034215 -0.120 0.287 -0.092
H 1.463718 5.409464 3.835233 0.021 -0.051 -0.009
C 2.128938 0.807838 -6.196333 -0.232 -0.057 -0.085
└──
Assignment:
Give back the lines further up up to the one that holds "-0.081 0.063", that line included.
Response:
1.
12
Properties=species:S:1:pos:R:3:forces:R:3 method="wB97M-V/def2-TZVPD" multiplicity=2 fmax_ev_per_a=3.8 total_charge=-1 e_above_lowest_kj_mol=180.8 lumo_ev="3.6 / 3.6" gap_ev="2.453 / 8.876" e_tot_ha=-302.57050
H 4.490939 0.027200 3.251088 -1.492 0.838 -0.287
N -1.206118 0.979531 -1.015261 1.025 -2.528 0.910
H 3.325776 0.671943 2.358625 0.412 -0.288 0.782
C -1.307334 0.211577 0.198110 -2.555 2.738 0.601
O 3.627676 0.527403 3.285409 1.042 -0.533 -0.493
H -1.408514 1.979322 -1.238475 0.420 -0.708 0.725
H -1.227391 -2.078567 0.354480 0.139 1.467 0.001
C -0.704888 0.082320 -1.968630 -0.496 0.875 2.259
N -0.729746 -1.193584 -1.562453 0.325 2.254 1.683
H -1.786304 0.739025 1.170799 1.473 -1.520 -2.509
H -0.106108 0.684325 -2.669497 -0.669 -1.290 -0.909
C -1.114237 -1.084581 -0.140529 0.375 -1.305 -2.762

***

2.
122
Properties=species:S:1:pos:R:3:forces:R:3 method="wB97M-V/def2-TZVPD" fmax_ev_per_a=1.3 total_charge=0 e_above_lowest_kj_mol=0.0 lumo_ev=-1.0 gap_ev=6.465 e_tot_ha=-4436.29802
C -3.476208 -4.446124 -0.038503 -0.052 -0.046 -0.022
C 3.160780 -1.422176 1.079537 -0.009 -0.002 0.237
H -3.809246 -0.192856 -6.753058 -0.002 -0.003 0.007
C -1.155273 0.005476 1.000750 0.363 -0.027 -0.044
H -1.539305 -2.843938 -0.290939 -0.070 -0.030 0.012
H 0.429272 -1.105678 3.936377 -0.004 0.002 0.070
H 1.623743 -1.261051 -6.336296 -0.028 0.011 0.033
H 4.638383 1.820462 2.305862 -0.017 -0.012 -0.071
C -5.396358 -5.513060 -1.008219 -0.006 0.011 -0.008
H -6.217135 -6.215223 -0.939983 0.012 -0.006 0.001
C 3.927481 3.718175 4.172740 0.156 -0.151 0.097
C 4.502607 -1.202964 0.832838 0.017 -0.065 0.039
Si 2.080114 0.618825 4.690228 0.071 -0.061 0.159
H 1.474877 -2.395015 -0.553903 0.023 0.070 -0.117
C -0.563696 -3.427102 2.591988 0.074 -0.049 -0.035
C -2.768442 2.122138 -0.452788 0.070 -0.037 0.017
N -0.462781 0.970701 -2.873738 -0.085 -0.555 0.652
H 0.958171 2.970262 -3.862776 -0.007 -0.018 -0.050
N -2.431442 -1.403700 2.423788 -0.017 -0.023 0.158
H 3.971300 -0.156436 6.075895 -0.044 0.009 -0.029
H 3.449149 4.864789 1.359242 -0.040 -0.020 0.016
H 4.881932 3.292986 3.852923 -0.027 0.029 0.034
O 3.804356 -0.503493 -7.629644 -0.005 0.024 0.038
H -0.531257 1.928055 -2.546284 0.159 0.017 0.112
H -4.664552 -5.917159 0.968861 0.007 -0.006 -0.009
H 3.501545 3.221027 0.721197 -0.019 0.052 -0.012
C -3.282069 -3.683569 -1.191659 0.179 0.029 -0.119
C 1.213379 -1.040712 4.689619 -0.097 -0.102 -0.038
H 0.763743 -1.242592 5.666218 0.027 0.010 -0.023
H 1.425993 2.256099 -0.924280 -0.041 0.051 0.119
H -3.168628 2.431117 2.621522 -0.103 -0.004 -0.017
C -3.778066 1.607629 2.242751 0.137 0.015 0.272
O 3.921465 1.948162 -7.644579 -0.012 -0.023 0.040
H 4.506993 1.148120 5.013791 -0.006 -0.053 0.035
C 2.858107 0.612014 2.126707 0.010 0.040 0.224
H -1.632051 2.181363 4.278704 0.035 -0.017 0.020
H -1.962912 0.538975 3.706363 0.043 0.011 0.058
C -1.760546 -3.527953 3.285559 -0.108 -0.014 0.047
C -2.305865 -2.061332 -4.359836 0.005 -0.002 -0.075
H -5.880311 -4.893900 -3.005837 -0.006 -0.005 0.016
C -0.307184 -2.296535 1.842433 0.029 0.029 -0.205
C -4.167407 -3.858388 -2.258801 -0.035 -0.015 0.056
C 0.445804 0.891118 -4.006486 0.204 0.241 0.055
H -2.110366 1.858258 -1.283098 -0.126 0.091 -0.010
H -3.615534 -2.507161 3.688584 0.003 -0.020 0.001
C -4.526256 -5.346558 0.059030 0.033 0.023 0.003
H -2.800972 -4.314852 0.798532 0.024 -0.007 0.012
C -2.174627 -2.699671 -1.162114 -0.471 -0.059 -0.130
C 1.461927 1.698662 6.096215 -0.065 0.181 0.038
H 1.970766 4.101222 0.760789 0.028 -0.015 0.008
C -3.785682 0.261258 -4.654900 0.030 0.023 0.025
C 0.623348 -0.302194 -4.682259 -0.050 -0.081 0.063